Work order.
Type out the lines further below up to the one that holds "/[H]", that line included.

Given.
Entry 1:
Formula: C3H7N3O2
Source: the OMol25 dataset
Level of theory: wB97M-V/def2-TZVPD

```
15
Properties=species:S:1:pos:R:3:forces:R:3:lowdin_charge:R:1
C 3.12177 -0.26442 -0.55601 0.756 0.767 0.605 -0.063
C -0.22549 0.78194 -0.33386 -1.381 0.024 0.233 -0.054
C -1.34162 -0.02152 0.31738 0.631 0.920 0.520 -0.434
H 3.23748 0.67095 -1.13489 0.469 -0.912 -0.385 0.090
H 3.87208 -0.27680 0.26866 -0.506 -0.044 -0.652 0.095
H 3.19252 -1.23883 -1.09945 -0.441 0.995 0.184 0.097
H -0.76059 1.77532 -0.64196 1.583 -2.025 -0.950 0.141
H -0.60297 -1.70053 0.16924 -0.087 -0.215 0.930 0.075
H -2.43833 1.35747 1.23416 -0.581 -0.457 -0.779 0.146
H -3.30648 -0.94605 0.82769 -0.171 0.194 -0.146 0.057
N 0.98976 0.48507 -0.66966 -1.375 4.463 -1.495 -0.014
N -1.41113 -1.24485 0.61259 0.778 -0.934 -1.287 0.137
N -2.51855 0.74926 0.38781 -0.896 -0.194 0.974 -0.041
O 1.88977 -0.02035 0.12206 -0.270 -3.497 1.763 -0.159
O -3.69824 -0.10666 0.49624 1.489 0.915 0.485 -0.074
```
Forces are in eV/Å.

Properties
**Energy relative to the best compared isomer or geometry (same formula, charge and spin)**: 714.8 kJ/mol
**SMILES**: [H]/N=C(\C=N/OC)NO

---

Entry 2:
Formula: C3H7N3OS
Source: the OMol25 dataset
Level of theory: wB97M-V/def2-TZVPD

```
15
Properties=species:S:1:pos:R:3:forces:R:3:lowdin_charge:R:1
C 1.51068 0.47896 -0.12451 -0.530 0.378 -0.417 -0.208
C 0.41810 -0.58811 0.02235 0.219 -2.016 0.412 -0.429
C -1.34766 1.11964 0.09358 -1.923 0.329 -0.895 -0.312
H 3.14813 -0.05441 -1.02606 -0.086 -0.154 0.523 0.106
H 1.41986 1.05377 0.77760 0.000 0.689 0.414 0.114
H 1.31418 1.15442 -0.99409 0.191 -0.564 0.585 0.138
H 1.72537 -1.94883 0.34786 -1.688 0.339 -0.035 0.082
H -2.29587 -1.98215 0.96966 0.403 0.597 -0.535 -0.099
H -0.54367 1.84057 0.05802 0.320 -0.086 0.443 0.100
H -3.19853 0.82617 -0.07396 -0.208 -0.044 0.301 -0.015
N 0.66902 -1.80507 0.32942 1.609 0.784 -0.438 0.116
N -0.95598 -0.23175 -0.07967 0.442 0.821 0.299 -0.439
N -2.54520 1.59143 0.09001 1.722 -0.666 -0.060 0.075
O 2.83318 -0.03057 -0.10657 -0.429 -0.069 -0.851 -0.053
S -2.15160 -1.42405 -0.28365 -0.042 -0.339 0.253 0.824
```
Forces are in eV/Å.

Properties
**Energy relative to the best compared isomer or geometry (same formula, charge and spin)**: 203.2 kJ/mol
**SMILES**: [H]/N=C\N(S)/C(CO)=N/[H]

---

Entry 3:
Formula: C3H7N3OS
Source: the OMol25 dataset
Level of theory: wB97M-V/def2-TZVPD

```
15
Properties=species:S:1:pos:R:3:forces:R:3:lowdin_charge:R:1
C 1.55948 -1.12057 -1.32287 0.581 1.979 0.675 -0.040
C -0.20718 0.60128 -0.97275 1.383 1.226 2.918 -0.904
C -0.66043 1.21869 1.47942 -0.638 -0.878 0.275 -0.182
H 2.11433 -0.13115 -1.77881 -1.174 -2.923 0.979 0.111
H 2.10595 -1.57883 -0.43371 -0.177 0.281 -1.836 0.098
H 1.25861 -1.88151 -2.15640 0.046 1.652 1.788 0.110
H -0.87430 2.51572 -0.32902 0.701 -3.484 1.200 0.175
H -0.28186 2.10530 2.07612 -0.923 -1.319 -0.597 0.118
H -0.67396 -1.31352 0.66275 -1.473 0.957 1.508 0.082
H -1.49922 -1.74024 2.17115 0.023 1.763 -2.634 0.124
N -0.63576 1.48466 0.03626 -0.301 0.453 0.084 -0.019
N -1.08064 0.13271 2.10452 1.973 2.954 -1.822 -0.074
N -1.42203 -0.98292 1.36576 0.496 -2.802 1.806 -0.046
O 0.47597 -0.49507 -0.43113 -0.458 0.662 -2.750 -0.253
S -0.17896 1.18544 -2.47128 -0.060 -0.521 -1.594 0.700
```
Forces are in eV/Å.

Properties
**Energy relative to the best compared isomer or geometry (same formula, charge and spin)**: 371.9 kJ/mol
**SMILES**: COC(=S)N/C=N\N

---

Question: Look up the energy relative to the best compared isomer or geometry (same formula, charge and spin) of the third one.
Answer: 371.9 kJ/mol

---

Question: What is the formula in the first record?
Answer: C3H7N3O2

---

Question: The lowest energy relative to the best compared isomer or geometry (same formula, charge and spin) belongs to which entry?
Answer: number 2

---

Question: Which value of energy relative to the best compared isomer or geometry (same formula, charge and spin) does entry 3 give?
Answer: 371.9 kJ/mol

~~~~~

Completed.
Entry 1:
Formula: C3H7N3O2
Source: the OMol25 dataset
Level of theory: wB97M-V/def2-TZVPD

```
15
Properties=species:S:1:pos:R:3:forces:R:3:lowdin_charge:R:1
C 3.12177 -0.26442 -0.55601 0.756 0.767 0.605 -0.063
C -0.22549 0.78194 -0.33386 -1.381 0.024 0.233 -0.054
C -1.34162 -0.02152 0.31738 0.631 0.920 0.520 -0.434
H 3.23748 0.67095 -1.13489 0.469 -0.912 -0.385 0.090
H 3.87208 -0.27680 0.26866 -0.506 -0.044 -0.652 0.095
H 3.19252 -1.23883 -1.09945 -0.441 0.995 0.184 0.097
H -0.76059 1.77532 -0.64196 1.583 -2.025 -0.950 0.141
H -0.60297 -1.70053 0.16924 -0.087 -0.215 0.930 0.075
H -2.43833 1.35747 1.23416 -0.581 -0.457 -0.779 0.146
H -3.30648 -0.94605 0.82769 -0.171 0.194 -0.146 0.057
N 0.98976 0.48507 -0.66966 -1.375 4.463 -1.495 -0.014
N -1.41113 -1.24485 0.61259 0.778 -0.934 -1.287 0.137
N -2.51855 0.74926 0.38781 -0.896 -0.194 0.974 -0.041
O 1.88977 -0.02035 0.12206 -0.270 -3.497 1.763 -0.159
O -3.69824 -0.10666 0.49624 1.489 0.915 0.485 -0.074
```
Forces are in eV/Å.

Properties
**Energy relative to the best compared isomer or geometry (same formula, charge and spin)**: 714.8 kJ/mol
**SMILES**: [H]/N=C(\C=N/OC)NO

---

Entry 2:
Formula: C3H7N3OS
Source: the OMol25 dataset
Level of theory: wB97M-V/def2-TZVPD

```
15
Properties=species:S:1:pos:R:3:forces:R:3:lowdin_charge:R:1
C 1.51068 0.47896 -0.12451 -0.530 0.378 -0.417 -0.208
C 0.41810 -0.58811 0.02235 0.219 -2.016 0.412 -0.429
C -1.34766 1.11964 0.09358 -1.923 0.329 -0.895 -0.312
H 3.14813 -0.05441 -1.02606 -0.086 -0.154 0.523 0.106
H 1.41986 1.05377 0.77760 0.000 0.689 0.414 0.114
H 1.31418 1.15442 -0.99409 0.191 -0.564 0.585 0.138
H 1.72537 -1.94883 0.34786 -1.688 0.339 -0.035 0.082
H -2.29587 -1.98215 0.96966 0.403 0.597 -0.535 -0.099
H -0.54367 1.84057 0.05802 0.320 -0.086 0.443 0.100
H -3.19853 0.82617 -0.07396 -0.208 -0.044 0.301 -0.015
N 0.66902 -1.80507 0.32942 1.609 0.784 -0.438 0.116
N -0.95598 -0.23175 -0.07967 0.442 0.821 0.299 -0.439
N -2.54520 1.59143 0.09001 1.722 -0.666 -0.060 0.075
O 2.83318 -0.03057 -0.10657 -0.429 -0.069 -0.851 -0.053
S -2.15160 -1.42405 -0.28365 -0.042 -0.339 0.253 0.824
```
Forces are in eV/Å.

Properties
**Energy relative to the best compared isomer or geometry (same formula, charge and spin)**: 203.2 kJ/mol
**SMILES**: [H]/N=C\N(S)/C(CO)=N/[H]